Activity.
Set down the material further below from the line with "0.734 0.266" to the end without altering anything.

Material.
- - -
1.
Entry from Alexandria: a geometry-optimized Y3Th2Sc8 structure (GGA-PBE).

Cell lengths 12.055, 12.055, 12.055 Å; angles 29.57, 29.57, 29.57 degrees
Fractional coordinates of all 13 atoms:
1 Y 0.000 0.000 0.000
2 Y 0.185 0.185 0.185
3 Y 0.815 0.815 0.815
4 Th 0.363 0.363 0.363
5 Th 0.637 0.637 0.637
6 Sc 0.226 0.731 0.731
7 Sc 0.269 0.269 0.774
8 Sc 0.269 0.774 0.269
9 Sc 0.274 0.274 0.274
10 Sc 0.726 0.726 0.726
11 Sc 0.731 0.226 0.731
12 Sc 0.731 0.731 0.226
13 Sc 0.774 0.269 0.269

SG: R-3m
formation enthalpy at 0 K: 0.28 eV/atom


2.
Entry from Alexandria: a geometry-optimized Rb2I6BrF structure (GGA-PBE).

Cell lengths 8.362, 8.362, 8.362 Å; angles 118.38, 118.38, 92.83 degrees
Fractional coordinates of all 10 atoms:
1 Rb 0.250 0.750 0.500
2 Rb 0.750 0.250 0.500
3 I 0.203 0.203 0.000
4 I 0.266 0.266 0.531
5 I 0.266 0.734 0.000
6 I 0.734 0.266 0.000
7 I 0.734 0.734 0.469
8 I 0.797 0.797 0.000
9 Br 0.500 0.500 0.000
10 F 0.000 0.000 0.000

SG: I4/mmm
ΔE_f (raw): -56 kJ per mole of atoms


3.
Entry from Alexandria: a geometry-optimized SrOsSe2 structure (GGA-PBE).

Cell lengths 8.715, 8.715, 8.715 Å; angles 25.94, 25.94, 25.94 degrees
Fractional coordinates of all 4 atoms:
1 Sr 0.000 0.000 0.000
2 Os 0.500 0.500 0.500
3 Se 0.120 0.120 0.120
4 Se 0.880 0.880 0.880

SG: R-3m
ΔE_f (raw): -9 kJ per mole of atoms
- - -

Here it is.
6 I 0.734 0.266 0.000
7 I 0.734 0.734 0.469
8 I 0.797 0.797 0.000
9 Br 0.500 0.500 0.000
10 F 0.000 0.000 0.000

SG: I4/mmm
ΔE_f (raw): -56 kJ per mole of atoms


3.
Entry from Alexandria: a geometry-optimized SrOsSe2 structure (GGA-PBE).

Cell lengths 8.715, 8.715, 8.715 Å; angles 25.94, 25.94, 25.94 degrees
Fractional coordinates of all 4 atoms:
1 Sr 0.000 0.000 0.000
2 Os 0.500 0.500 0.500
3 Se 0.120 0.120 0.120
4 Se 0.880 0.880 0.880

SG: R-3m
ΔE_f (raw): -9 kJ per mole of atoms